Job =
Please quote the listing below from the line with "-5.9084 1.0324" to the end without altering anything.

Entries =
[1]
# C33H31N2O2P2Re

A structure of composition C33H31N2O2P2Re (wB97M-V/def2-TZVPD, the OMol25 dataset).

Each line ends with the Mulliken spin population.
Geometry (Å):
Re1 -0.6183 0.1181 -1.4724  2.86
C1 -0.2716 0.2498 3.0491  0.01
N1 -0.2723 0.1325 1.5894  -0.01
P1 0.4136 1.2282 0.4907  0.10
C2 2.2102 1.0861 0.5500  -0.10
C3 2.8910 1.1515 1.7706  0.00
C4 4.2665 1.0077 1.8044  0.00
C5 4.9749 0.8165 0.6219  0.00
C6 4.3084 0.7645 -0.5913  0.01
C7 2.9263 0.8937 -0.6286  0.05
C8 -0.0369 2.8761 1.0223  -0.01
C9 -1.3877 3.1421 1.2580  0.00
C10 -1.7776 4.4139 1.6386  0.00
C11 -0.8280 5.4195 1.7788  0.00
C12 0.5124 5.1585 1.5323  0.00
C13 0.9132 3.8866 1.1506  0.00
P2 -1.1510 -1.0248 0.7010  0.10
C14 -2.7556 -1.1913 1.4925  -0.03
C15 -3.8024 -0.3625 1.0908  -0.01
C16 -5.0249 -0.4346 1.7439  0.00
C17 -5.2008 -1.3257 2.7919  0.00
C18 -4.1555 -2.1480 3.1986  0.00
C19 -2.9340 -2.0862 2.5512  0.01
C20 -0.2806 -2.5874 0.8982  -0.06
C21 1.0681 -2.5864 1.2439  0.03
C22 1.7677 -3.7834 1.2948  0.01
C23 1.1267 -4.9757 0.9907  0.00
C24 -0.2158 -4.9770 0.6323  0.00
C25 -0.9220 -3.7862 0.5839  0.02
H1 0.0907 1.2387 3.3268  0.00
H2 0.3650 -0.5099 3.5058  0.00
H3 -1.2881 0.1468 3.4302  0.00
H4 2.3517 1.3202 2.6950  0.00
H5 4.7906 1.0534 2.7496  0.00
H6 6.0515 0.7127 0.6510  0.00
H7 4.8602 0.6198 -1.5107  0.00
H8 2.4057 0.8366 -1.5770  0.00
H9 -2.1336 2.3686 1.1237  0.00
H10 -2.8244 4.6209 1.8151  0.00
H11 -1.1370 6.4128 2.0763  0.00
H12 1.2496 5.9430 1.6366  0.00
H13 1.9594 3.6906 0.9517  0.00
H14 -3.6703 0.3442 0.2810  0.00
H15 -5.8364 0.2053 1.4248  0.00
H16 -6.1570 -1.3827 3.2953  0.00
H17 -4.2922 -2.8370 4.0212  0.00
H18 -2.1253 -2.7330 2.8683  0.00
H19 1.5737 -1.6543 1.4714  -0.01
H20 2.8133 -3.7843 1.5730  0.00
H21 1.6732 -5.9084 1.0324  0.00
H22 -0.7115 -5.9076 0.3907  0.00
H23 -1.9689 -3.7910 0.3052  0.00
C26 -2.9202 2.3157 -3.2413  0.04
C27 -3.1481 2.0275 -1.7824  -0.04
O1 -4.0979 2.3988 -1.1460  0.03
O2 -2.1751 1.3190 -1.1910  0.06
H24 -3.7568 2.8725 -3.6504  0.00
H25 -2.7892 1.3806 -3.7882  0.00
H26 -2.0009 2.8932 -3.3540  -0.01
N2 0.3694 -0.4987 -2.7656  -0.07
C28 1.3171 -0.9772 -3.6575  0.04
C29 2.3865 -1.7297 -3.1686  0.00
C30 3.3474 -2.1942 -4.0517  0.01
C31 3.2422 -1.9157 -5.4076  -0.02
C32 2.1715 -1.1745 -5.8883  0.01
C33 1.2031 -0.7011 -5.0187  -0.02
H27 2.4431 -1.9475 -2.1093  0.00
H28 4.1775 -2.7815 -3.6812  0.00
H29 3.9941 -2.2826 -6.0934  0.00
H30 2.0910 -0.9645 -6.9465  0.00
H31 0.3616 -0.1218 -5.3740  0.00

As for the spin multiplicity: 4. The LUMO energy (alpha / beta) is -3.067 / -4.394 eV. The expectation value of S² is 3.787. The frontier orbital gap (alpha / beta) is 7.41 / 6.81 eV. The charge is +1.


[2]
# C5H14

A cluster of 2 separate species, C5H14 in total in a non-equilibrium geometry (wB97M-V/def2-TZVPD, the OMol25 dataset).

Each line ends with the natural charge from an NBO analysis.
Geometry (Å):
C1 1.1823 1.4464 -0.8065  -0.62
C2 1.9974 1.1068 0.5191  -0.39
C3 1.2096 0.1392 1.2970  -0.62
H1 1.3633 0.6081 -1.6189  0.21
H2 0.1644 1.5238 -0.4161  0.21
H3 1.7199 2.3689 -1.0034  0.22
H4 2.9860 0.6891 0.3151  0.19
H5 2.2057 2.0314 1.0546  0.19
H6 0.5362 0.7882 2.0065  0.19
H7 0.5787 -0.4621 0.6998  0.21
H8 1.8183 -0.2948 2.1444  0.21
C4 -1.3446 -1.6222 -0.5957  -0.60
C5 -2.6295 -0.8073 -0.4225  -0.60
H9 -0.5371 -1.2869 -1.3329  0.20
H10 -0.8313 -1.6909 0.2829  0.19
H11 -1.6723 -2.6295 -0.9402  0.20
H12 -2.4168 0.1890 -0.1842  0.20
H13 -3.2485 -1.1983 0.3748  0.20
H14 -3.0817 -0.8988 -1.3739  0.20

The LUMO energy is 1.162 eV. As for the SMILES: CCC.CC. The frontier orbital gap is 11.94 eV. The relative energy (zero: lowest compared OMol25 entry of this formula, charge and spin) comes out at 139.0 kJ/mol. The charge is 0.


[3]
# C37H32F3InO3P2S

A structure of composition C37H32F3InO3P2S in a non-equilibrium geometry (wB97M-V/def2-TZVPD, the OMol25 dataset).

Each line ends with the Löwdin charge.
Geometry (Å):
C1 0.6288 -1.0743 -2.3169  -0.09
C2 -0.4170 -1.5609 -1.5104  -0.36
C3 -1.7234 -1.6594 -2.0202  -0.06

Worked solution =
H21 1.6732 -5.9084 1.0324  0.00
H22 -0.7115 -5.9076 0.3907  0.00
H23 -1.9689 -3.7910 0.3052  0.00
C26 -2.9202 2.3157 -3.2413  0.04
C27 -3.1481 2.0275 -1.7824  -0.04
O1 -4.0979 2.3988 -1.1460  0.03
O2 -2.1751 1.3190 -1.1910  0.06
H24 -3.7568 2.8725 -3.6504  0.00
H25 -2.7892 1.3806 -3.7882  0.00
H26 -2.0009 2.8932 -3.3540  -0.01
N2 0.3694 -0.4987 -2.7656  -0.07
C28 1.3171 -0.9772 -3.6575  0.04
C29 2.3865 -1.7297 -3.1686  0.00
C30 3.3474 -2.1942 -4.0517  0.01
C31 3.2422 -1.9157 -5.4076  -0.02
C32 2.1715 -1.1745 -5.8883  0.01
C33 1.2031 -0.7011 -5.0187  -0.02
H27 2.4431 -1.9475 -2.1093  0.00
H28 4.1775 -2.7815 -3.6812  0.00
H29 3.9941 -2.2826 -6.0934  0.00
H30 2.0910 -0.9645 -6.9465  0.00
H31 0.3616 -0.1218 -5.3740  0.00

As for the spin multiplicity: 4. The LUMO energy (alpha / beta) is -3.067 / -4.394 eV. The expectation value of S² is 3.787. The frontier orbital gap (alpha / beta) is 7.41 / 6.81 eV. The charge is +1.


[2]
# C5H14

A cluster of 2 separate species, C5H14 in total in a non-equilibrium geometry (wB97M-V/def2-TZVPD, the OMol25 dataset).

Each line ends with the natural charge from an NBO analysis.
Geometry (Å):
C1 1.1823 1.4464 -0.8065  -0.62
C2 1.9974 1.1068 0.5191  -0.39
C3 1.2096 0.1392 1.2970  -0.62
H1 1.3633 0.6081 -1.6189  0.21
H2 0.1644 1.5238 -0.4161  0.21
H3 1.7199 2.3689 -1.0034  0.22
H4 2.9860 0.6891 0.3151  0.19
H5 2.2057 2.0314 1.0546  0.19
H6 0.5362 0.7882 2.0065  0.19
H7 0.5787 -0.4621 0.6998  0.21
H8 1.8183 -0.2948 2.1444  0.21
C4 -1.3446 -1.6222 -0.5957  -0.60
C5 -2.6295 -0.8073 -0.4225  -0.60
H9 -0.5371 -1.2869 -1.3329  0.20
H10 -0.8313 -1.6909 0.2829  0.19
H11 -1.6723 -2.6295 -0.9402  0.20
H12 -2.4168 0.1890 -0.1842  0.20
H13 -3.2485 -1.1983 0.3748  0.20
H14 -3.0817 -0.8988 -1.3739  0.20

The LUMO energy is 1.162 eV. As for the SMILES: CCC.CC. The frontier orbital gap is 11.94 eV. The relative energy (zero: lowest compared OMol25 entry of this formula, charge and spin) comes out at 139.0 kJ/mol. The charge is 0.


[3]
# C37H32F3InO3P2S

A structure of composition C37H32F3InO3P2S in a non-equilibrium geometry (wB97M-V/def2-TZVPD, the OMol25 dataset).

Each line ends with the Löwdin charge.
Geometry (Å):
C1 0.6288 -1.0743 -2.3169  -0.09
C2 -0.4170 -1.5609 -1.5104  -0.36
C3 -1.7234 -1.6594 -2.0202  -0.06